Observations on Photography sat outside Notre Dame, Paris

A slightly long title but I thought you might enjoy one of my finds in my notebooks. I wrote this last October whilst on a trip to Paris. I spent a few hours alone wandering up and down the river and sat outside the Notre Dame observing strangers (which I do constantly, but I don’t always write it all down). There were some sketches of what people were doing, their behaviours and poses etc but they aren’t really necessary with my already sketchy writing. I’ve been reading through my notebooks as I have a new brief/theme at University to explore and it is Culture, especially in regards to digital and new cultures. I found my writing quite relevant despite being a mixture of rambling and excitement. So here goes…

Between two parts of the text: calculated crystals:
[1]
Entry from the Alexandria database: a relaxed ZnAgPCl2 crystal (PBE).

Fermi-level density of states in states/eV/f.u.: 2.7
Raw formation energy in eV/atom: 0.420
M_tot in μB/atom: 0.2988
SG: P4/mmm, No. 123

Cell: 5.0430 5.0430 5.0098 Å, 90.00 90.00 90.00°
Closest atoms and distances in Å follow each position.
Atoms (fractional coordinates):
Zn 0.0000 0.0000 0.0000  8 Cl 3.55, 4 P 3.57
Ag 0.5000 0.5000 0.5000  2 P 2.50, 4 Cl 2.52
P 0.5000 0.5000 0.0000  2 Ag 2.50
Cl 0.0000 0.5000 0.5000  2 Ag 2.52
Cl 0.5000 0.0000 0.5000  2 Ag 2.52


[2]
Entry from the Alexandria database: a relaxed Al2CrCd crystal (PBE).

Fermi-level density of states in states/eV/f.u.: 1.9
Calculated formation energy in kJ/mol of atoms: 10.2
M_tot in μB/atom: 0.7036
SG: P4/mmm, No. 123

Cell: 4.0721 4.0721 3.9734 Å, 90.00 90.00 90.00°
Closest atoms and distances in Å follow each position.
Atoms (fractional coordinates):
Al 0.0000 0.5000 0.0000  4 Cd 2.84, 4 Cr 2.84, 4 Al 2.88
Al 0.5000 0.0000 0.0000  4 Cd 2.84, 4 Cr 2.84, 4 Al 2.88
Cr 0.0000 0.0000 0.5000  8 Al 2.84, 4 Cd 2.88
Cd 0.5000 0.5000 0.5000  8 Al 2.84, 4 Cr 2.88


[3]
Entry from the Alexandria database: a relaxed NdDy4Y7 crystal (PBE).

Fermi-level density of states in states/eV/f.u.: 22.1
Calculated formation energy in kJ/mol of atoms: 27.3
M_tot in μB/atom: 0.0001
SG: C2/m, No. 12

Cell: 6.7305 6.7305 12.6971 Å, 114.49 114.49 51.85°
Closest atoms and distances in Å follow each position.
Atoms (fractional coordinates):
Nd 0.0000 0.0000 0.0000  4 Y 2.94-3.13
Dy 0.2485 0.2485 0.6827  4 Y 3.26-3.58
Dy 0.3650 0.3650 0.2253  7 Y 3.38-3.61, 2 Dy 3.66
Dy 0.6350 0.6350 0.7747  7 Y 3.38-3.61, 2 Dy 3.66
Dy 0.7515 0.7515 0.3173  4 Y 3.26-3.58
Y 0.0588 0.0588 0.3280  4 Y 3.32-3.55, 3 Dy 3.61-3.66
Y 0.2105 0.2105 0.9223  1 Nd 3.13, 4 Y 3.17-3.42, 4 Dy 3.28-3.42
Y 0.3651 0.3651 0.4966  4 Y 3.23-3.55, 5 Dy 3.26-3.58
Y 0.5000 0.5000 0.0000  2 Nd 2.94, 2 Y 3.17
Y 0.6349 0.6349 0.5034  4 Y 3.23-3.55, 5 Dy 3.26-3.58
Y 0.7895 0.7895 0.0777  1 Nd 3.13, 4 Y 3.17-3.42, 4 Dy 3.28-3.42
Y 0.9412 0.9412 0.6720  4 Y 3.32-3.55, 3 Dy 3.61-3.66


[4]
Entry from the Alexandria database: a relaxed Ca2InP crystal (PBE).

Fermi-level density of states in states/eV/f.u.: 1.8
Calculated formation energy in kJ/mol of atoms: -31.2
M_tot in μB/atom: 0.0000
SG: P4mm, No. 99

Cell: 3.6777 3.6777 8.2861 Å, 90.00 90.00 90.00°
Closest atoms and distances in Å follow each position.
Atoms (fractional coordinates):
Ca 0.0000 0.0000 0.0000  1 In 3.04, 4 P 3.16
Ca 0.5000 0.5000 0.3805  1 P 3.34, 4 In 3.34, 4 Ca 3.68
In 0.0000 0.0000 0.6326  4 P 2.88, 1 Ca 3.04
P 0.5000 0.5000 0.7831  4 In 2.88, 4 Ca 3.16


[5]
Entry from the Alexandria database: a relaxed KCdIr2 crystal (PBE).

Fermi-level density of states in states/eV/f.u.: 4.0
Calculated formation energy in kJ/mol of atoms: 75.5
M_tot in μB/atom: 0.0001
SG: Cmmm, No. 65

Cell: 5.6349 5.6349 2.6556 Å, 90.00 90.00 116.14°
Closest atoms and distances in Å follow each position.
Atoms (fractional coordinates):

I’m sat in front of Notre Dame after walking from the Latin Quarter. Someone is doing wedding photographs in front of this massively historic building. I’m not sure what that means; to be photographed in front of it apart from stating ‘I was here’. I feel like Martin Parr, sat there observing the poses people make, the people in the images and the way they photograph. Some are knelt down, some use tripods, some use flash, some photograph people photographing. It’s madness really .

I feel like going around and asking if people want me to photograph them. Just by walking into this area, I must already be in hundreds of people’s family holiday snaps. I wonder if they’ll ever look at the photographs and wonder who I am. The wedding party has gone. Now there’s a film crew doing an interview. I’ve started a game with myself; counting the people that I can see without a visible camera on them. I’m at about 4.

Oh my, someone just used a timer in front of me. They look adorable. Now they move to a different angle of the Notre Dame. Madness I tell you. People seem to have disappeared; the cameras are still out though.

Vivre la Photographie.

Monday 3rd October 2011

After reading through and collecting it all together, one sentence in there sticks out to me and that is; Vivre la Photographie. I cannot quite remember what I meant by that. My french is good at times but I’ll often give it a guess and be wrong, and something about that phrase made me uneasy. I think I was attempting a “Live on Photography” type of line but in fact I said something far more intrinsic to what I was saying.

Vivre la Photographie, essentially means… To live photography. This could be seen as:

  • To live through photography
  • To live with photography
  • To live by photography
  • To live in photography
  • To live using photography

I asked a friend who knew more about the definition I was trying to capture and they came up with a more rounded answer. Vivre la photography means to live through the idea of and by the ideals of photography.

Happy New Year – Exhibition Soon

What will 2012 bring? That is all that I think about at the moment! I’ve had a wonderful break for Christmas and New Years, visited Paris, received good news and relaxed with family and friends.

In 2011 many exciting things happened; from exhibiting work, experimenting more and more as an artist and my work being written about. It only makes me more excited for the year ahead.

My good news is that I’ve been asked to be in a group show called Sample 12 at theprintspace in London. It begins on the 2nd February 2012 with the private view and continues for three weeks. Do tell me if you get to visit it!

I will leave it at that for now, as it is a busy time preparing for the next year!

Happy New Year!